### Contents
/*
The following is a PBE calculation of an optimized crystal structure of SrPHO4, from the Materials Project.

```
SrPHO4
1.0
8.1940 0.0000 0.0000
0.0000 9.4284 0.0000
0.0000 0.0000 18.2758
Sr P H O
16 16 16 64
Cartesian
0.9959 1.6871 2.2870
0.9959 3.0271 11.4249
1.0699 1.7206 16.1296
1.0699 2.9936 6.9917
3.0271 6.4348 16.1296
3.0271 7.7078 6.9917
3.1011 6.4013 2.2870
3.1011 7.7413 11.4249
5.0929 1.6871 6.8509
5.0929 3.0271 15.9888
5.1669 1.7206 11.2841
5.1669 2.9936 2.1462
7.1241 6.4348 11.2841
7.1241 7.7078 2.1462
7.1981 6.4013 6.8509
7.1981 7.7413 15.9888
0.1462 0.2017 5.3768
0.1462 4.5125 14.5147
2.0347 5.4628 9.2139
2.0347 8.6798 0.0760
2.0623 0.7486 9.2139
2.0623 3.9656 0.0760
3.9508 4.9159 5.3768
3.9508 9.2267 14.5147
4.2432 0.2017 3.7610
4.2432 4.5125 12.8989
6.1317 5.4628 18.1998
6.1317 8.6798 9.0619
6.1593 0.7486 18.1998
6.1593 3.9656 9.0619
8.0478 4.9159 3.7610
8.0478 9.2267 12.8989
0.7022 5.7804 0.0653
0.7022 8.3622 9.2032
1.7547 5.4319 5.1390
1.7547 8.7107 14.2769
2.3423 0.7177 5.1390
2.3423 3.9965 14.2769
3.3948 1.0662 0.0653
3.3948 3.6480 9.2032
4.7992 5.7804 9.0726
4.7992 8.3622 18.2104
5.8517 5.4319 3.9989
5.8517 8.7107 13.1368
6.4393 0.7177 3.9989
6.4393 3.9965 13.1368
7.4918 1.0662 9.0726
7.4918 3.6480 18.2104
0.4786 4.7206 5.1787
0.4786 9.4220 14.3166
0.6266 5.8346 15.1234
0.6266 8.3080 5.9855
0.7391 1.5479 9.2016
0.7391 3.1663 0.0637
0.7446 5.7726 2.8690
0.7446 8.3700 12.0069
1.2355 5.7119 7.9244
1.2355 8.4307 17.0623
1.2579 5.6947 10.5166
1.2579 8.4479 1.3787
1.4087 1.1865 5.0977
1.4087 3.5277 14.2356
1.7096 5.5444 0.0468
1.7096 8.5982 9.1847
2.3874 0.8302 0.0468
2.3874 3.8840 9.1847
2.6883 5.9007 5.0977
2.6883 8.2419 14.2356
2.8391 0.9805 10.5166
2.8391 3.7337 1.3787
2.8615 0.9977 7.9244
2.8615 3.7165 17.0623
3.3524 1.0584 2.8690
3.3524 3.6558 12.0069
3.3579 6.2621 9.2016
3.3579 7.8805 0.0637
3.4704 1.1204 15.1234
3.4704 3.5938 5.9855
3.6184 0.0064 5.1787
3.6184 4.7078 14.3166
4.5756 4.7206 3.9592
4.5756 9.4220 13.0970
4.7236 5.8346 12.2903
4.7236 8.3080 3.1524
4.8361 1.5479 18.2120
4.8361 3.1663 9.0741
4.8416 5.7726 6.2688
4.8416 8.3700 15.4067
5.3325 5.7119 1.2135
5.3325 8.4307 10.3514
5.3549 5.6947 16.8971
5.3549 8.4479 7.7592
5.5057 1.1865 4.0402
5.5057 3.5277 13.1781
5.8067 5.5444 9.0911
5.8067 8.5982 18.2290
6.4844 0.8302 9.0911
6.4844 3.8840 18.2290
6.7853 5.9007 4.0402
6.7853 8.2419 13.1781
6.9361 0.9805 16.8971
6.9361 3.7337 7.7592
6.9585 0.9977 1.2135
6.9585 3.7165 10.3514
7.4494 1.0584 6.2688
7.4494 3.6558 15.4067
7.4549 6.2621 18.2120
7.4549 7.8805 9.0741
7.5674 1.1204 12.2903
7.5674 3.5938 3.1524
7.7154 0.0064 3.9592
7.7154 4.7078 13.0970
```

Calculated density in g/cm³: 3.5
Energy relative to the elements in kJ/mol of formula units: -1902.9
E_tot in eV per atom: -6.752

=====

The following is a PBE calculation of an optimized crystal structure of SrPH3O4, from the Materials Project.

```
SrPH3O4
1.0
7.6884 0.0000 0.0000
0.0000 7.1579 0.0000
-2.6113 0.0000 7.8157
Sr P H O
4 4 12 16
Cartesian
0.0689 1.0044 2.7040
-1.2367 2.5746 6.6119
6.3139 4.5833 1.2038
5.0083 6.1535 5.1117
0.4331 4.6611 3.9470
1.7388 6.0758 0.0392
3.3384 1.0821 7.7765
4.6440 2.4968 3.8687
0.4687 0.3364 5.6872
1.7743 3.2425 1.7794
1.6948 5.2901 3.8742
0.3892 5.4468 7.7820
1.9803 0.7587 5.4831
3.2859 2.8202 1.5753
1.7913 4.3377 6.2404
3.0969 6.3992 2.3325
4.6880 1.7111 0.0337
3.3824 1.8678 3.9415
3.3028 3.9154 6.0363
4.6084 6.8215 2.1285
-1.9428 5.0133 7.4848
-0.6372 5.7235 3.5770
-0.8824 0.0242 6.7699
0.4232 3.5548 2.8621
0.2960 4.1360 5.3792
1.6016 6.6008 1.4714
1.0728 0.8322 5.0731
2.3784 2.7467 1.1652
2.6987 4.4112 6.6504
4.0044 6.3257 2.7426
3.4756 0.5571 6.3443
4.7812 3.0219 2.4364
4.6540 3.6031 4.9536
5.9596 7.1337 1.0458
5.7144 1.4344 4.2387
7.0200 2.1446 0.3309
```

Calculated density in g/cm³: 2.9
Energy relative to the elements in kJ/mol of formula units: -1892.5
E_tot in eV per atom: -5.993

=====

The following is a PBE calculation of an optimized crystal structure of SrUP2H2O10, from the Materials Project.
*/

### Brief
Could you find the line earlier on that holds "1.0699 1.7206", then repeat that line and all lines after it there?

### Response
1.0699 1.7206 16.1296
1.0699 2.9936 6.9917
3.0271 6.4348 16.1296
3.0271 7.7078 6.9917
3.1011 6.4013 2.2870
3.1011 7.7413 11.4249
5.0929 1.6871 6.8509
5.0929 3.0271 15.9888
5.1669 1.7206 11.2841
5.1669 2.9936 2.1462
7.1241 6.4348 11.2841
7.1241 7.7078 2.1462
7.1981 6.4013 6.8509
7.1981 7.7413 15.9888
0.1462 0.2017 5.3768
0.1462 4.5125 14.5147
2.0347 5.4628 9.2139
2.0347 8.6798 0.0760
2.0623 0.7486 9.2139
2.0623 3.9656 0.0760
3.9508 4.9159 5.3768
3.9508 9.2267 14.5147
4.2432 0.2017 3.7610
4.2432 4.5125 12.8989
6.1317 5.4628 18.1998
6.1317 8.6798 9.0619
6.1593 0.7486 18.1998
6.1593 3.9656 9.0619
8.0478 4.9159 3.7610
8.0478 9.2267 12.8989
0.7022 5.7804 0.0653
0.7022 8.3622 9.2032
1.7547 5.4319 5.1390
1.7547 8.7107 14.2769
2.3423 0.7177 5.1390
2.3423 3.9965 14.2769
3.3948 1.0662 0.0653
3.3948 3.6480 9.2032
4.7992 5.7804 9.0726
4.7992 8.3622 18.2104
5.8517 5.4319 3.9989
5.8517 8.7107 13.1368
6.4393 0.7177 3.9989
6.4393 3.9965 13.1368
7.4918 1.0662 9.0726
7.4918 3.6480 18.2104
0.4786 4.7206 5.1787
0.4786 9.4220 14.3166
0.6266 5.8346 15.1234
0.6266 8.3080 5.9855
0.7391 1.5479 9.2016
0.7391 3.1663 0.0637
0.7446 5.7726 2.8690
0.7446 8.3700 12.0069
1.2355 5.7119 7.9244
1.2355 8.4307 17.0623
1.2579 5.6947 10.5166
1.2579 8.4479 1.3787
1.4087 1.1865 5.0977
1.4087 3.5277 14.2356
1.7096 5.5444 0.0468
1.7096 8.5982 9.1847
2.3874 0.8302 0.0468
2.3874 3.8840 9.1847
2.6883 5.9007 5.0977
2.6883 8.2419 14.2356
2.8391 0.9805 10.5166
2.8391 3.7337 1.3787
2.8615 0.9977 7.9244
2.8615 3.7165 17.0623
3.3524 1.0584 2.8690
3.3524 3.6558 12.0069
3.3579 6.2621 9.2016
3.3579 7.8805 0.0637
3.4704 1.1204 15.1234
3.4704 3.5938 5.9855
3.6184 0.0064 5.1787
3.6184 4.7078 14.3166
4.5756 4.7206 3.9592
4.5756 9.4220 13.0970
4.7236 5.8346 12.2903
4.7236 8.3080 3.1524
4.8361 1.5479 18.2120
4.8361 3.1663 9.0741
4.8416 5.7726 6.2688
4.8416 8.3700 15.4067
5.3325 5.7119 1.2135
5.3325 8.4307 10.3514
5.3549 5.6947 16.8971
5.3549 8.4479 7.7592
5.5057 1.1865 4.0402
5.5057 3.5277 13.1781
5.8067 5.5444 9.0911
5.8067 8.5982 18.2290
6.4844 0.8302 9.0911
6.4844 3.8840 18.2290
6.7853 5.9007 4.0402
6.7853 8.2419 13.1781
6.9361 0.9805 16.8971
6.9361 3.7337 7.7592
6.9585 0.9977 1.2135
6.9585 3.7165 10.3514
7.4494 1.0584 6.2688
7.4494 3.6558 15.4067
7.4549 6.2621 18.2120
7.4549 7.8805 9.0741
7.5674 1.1204 12.2903
7.5674 3.5938 3.1524
7.7154 0.0064 3.9592
7.7154 4.7078 13.0970
```

Calculated density in g/cm³: 3.5
Energy relative to the elements in kJ/mol of formula units: -1902.9
E_tot in eV per atom: -6.752

=====

The following is a PBE calculation of an optimized crystal structure of SrPH3O4, from the Materials Project.

```
SrPH3O4
1.0
7.6884 0.0000 0.0000
0.0000 7.1579 0.0000
-2.6113 0.0000 7.8157
Sr P H O
4 4 12 16
Cartesian
0.0689 1.0044 2.7040
-1.2367 2.5746 6.6119
6.3139 4.5833 1.2038
5.0083 6.1535 5.1117
0.4331 4.6611 3.9470
1.7388 6.0758 0.0392
3.3384 1.0821 7.7765
4.6440 2.4968 3.8687
0.4687 0.3364 5.6872
1.7743 3.2425 1.7794
1.6948 5.2901 3.8742
0.3892 5.4468 7.7820
1.9803 0.7587 5.4831
3.2859 2.8202 1.5753
1.7913 4.3377 6.2404
3.0969 6.3992 2.3325
4.6880 1.7111 0.0337
3.3824 1.8678 3.9415
3.3028 3.9154 6.0363
4.6084 6.8215 2.1285
-1.9428 5.0133 7.4848
-0.6372 5.7235 3.5770
-0.8824 0.0242 6.7699
0.4232 3.5548 2.8621
0.2960 4.1360 5.3792
1.6016 6.6008 1.4714
1.0728 0.8322 5.0731
2.3784 2.7467 1.1652
2.6987 4.4112 6.6504
4.0044 6.3257 2.7426
3.4756 0.5571 6.3443
4.7812 3.0219 2.4364
4.6540 3.6031 4.9536
5.9596 7.1337 1.0458
5.7144 1.4344 4.2387
7.0200 2.1446 0.3309
```

Calculated density in g/cm³: 2.9
Energy relative to the elements in kJ/mol of formula units: -1892.5
E_tot in eV per atom: -5.993

=====

The following is a PBE calculation of an optimized crystal structure of SrUP2H2O10, from the Materials Project.